Embarking on an online skill course can be an exciting journey towards personal and professional growth. However, the lack of face-to-face interaction can leave learners feeling isolated. The solution? Building a supportive learning network that fosters peer interaction, enhancing your online educational experience and providing a sense of community. By the end of this article, you'll have a clear action plan to create and leverage a network that enriches your learning journey.

Why Peer Interaction Matters

Peer interaction is crucial for several reasons. It can lead to deeper understanding of course material, provide emotional support, and offer networking opportunities that can be beneficial for your career. Collaborative learning also encourages the exchange of diverse perspectives, fostering a richer educational experience.

How to Foster Peer Interaction

[What comes next are data records, not part of the entry]
~~~
1.
! GaCo meta-GGA r2SCAN optimized geometry; values from VASP
&SYSTEM
  ibrav = 0, nat = 2, ntyp = 2
/
ATOMIC_SPECIES
Ga 69.72 Ga.upf
Co 58.93 Co.upf
CELL_PARAMETERS angstrom
2.847 0.000 0.000
0.000 2.847 0.000
0.000 0.000 2.847
ATOMIC_POSITIONS angstrom
Ga 0.000 0.000 0.000
Co 1.424 1.424 1.424
! Energy, eV per cell: -25.07

2.
! Gd2Ga8Co meta-GGA r2SCAN optimized geometry; values from VASP
&SYSTEM
  ibrav = 0, nat = 11, ntyp = 3
/
ATOMIC_SPECIES
Gd 157.25 Gd.upf
Ga 69.72 Ga.upf
Co 58.93 Co.upf
CELL_PARAMETERS angstrom
4.219 0.000 0.000
0.000 4.219 0.000
0.000 0.000 11.084
ATOMIC_POSITIONS angstrom
Gd 0.000 0.000 2.160
Gd 0.000 0.000 8.924
Ga 0.000 2.109 0.000
Ga 0.000 2.109 4.273
Ga 0.000 2.109 6.811
Ga 2.109 0.000 0.000
Ga 2.109 0.000 4.273
Ga 2.109 0.000 6.811
Ga 2.109 2.109 2.168
Ga 2.109 2.109 8.916
Co 0.000 0.000 5.542
! Energy, eV per cell: -196.71

3.
! Gd2Ga9Co3 meta-GGA r2SCAN optimized geometry; values from VASP
&SYSTEM
  ibrav = 0, nat = 28, ntyp = 3
/
ATOMIC_SPECIES
Gd 157.25 Gd.upf
Ga 69.72 Ga.upf
Co 58.93 Co.upf
CELL_PARAMETERS angstrom
6.308 -3.664 0.000
6.308 3.664 0.000
0.000 0.000 9.413
ATOMIC_POSITIONS angstrom
Gd 4.233 2.439 7.060
Gd 8.382 2.439 7.060
Gd 4.233 -2.439 2.353
Gd 8.382 -2.439 2.353
Ga 4.215 2.429 0.657
Ga 4.215 2.429 4.049
Ga 6.308 2.757 2.353
Ga 8.400 2.429 0.657
Ga 8.400 2.429 4.049
Ga 4.973 0.427 2.353
Ga 6.308 1.204 5.237
Ga 6.308 1.204 8.882
Ga 4.973 -0.427 7.060
Ga 7.642 0.427 2.353
Ga 6.308 -1.204 0.530
Ga 6.308 -1.204 4.176
Ga 7.642 -0.427 7.060
Ga 4.215 -2.429 5.364
Ga 4.215 -2.429 8.755
Ga 6.308 -2.757 7.060
Ga 8.400 -2.429 5.364
Ga 8.400 -2.429 8.755
Co 0.000 0.000 0.000
Co 0.000 0.000 4.706
Co 4.153 0.000 0.000
Co 4.153 0.000 4.706
Co 8.462 0.000 0.000
Co 8.462 0.000 4.706
! Energy, eV per cell: -471.55

4.
! HfGaCo meta-GGA r2SCAN optimized geometry; values from VASP
&SYSTEM
  ibrav = 0, nat = 9, ntyp = 3
/
ATOMIC_SPECIES
Hf 178.49 Hf.upf
Ga 69.72 Ga.upf
Co 58.93 Co.upf
CELL_PARAMETERS angstrom
6.919 0.000 0.000
-3.459 5.992 0.000
0.000 0.000 3.246
ATOMIC_POSITIONS angstrom
Hf -2.073 3.591 0.000
Hf 1.386 2.401 0.000
Hf 4.146 0.000 0.000
Ga -0.918 1.590 1.623
Ga 1.835 0.000 1.623
Ga 2.542 4.402 1.623
Co 0.000 0.000 0.000
Co 0.000 3.994 1.623
Co 3.459 1.997 1.623
! Energy, eV per cell: -214.25

5.
! HfGa5Co meta-GGA r2SCAN optimized geometry; values from VASP
&SYSTEM
  ibrav = 0, nat = 7, ntyp = 3
/
ATOMIC_SPECIES
Hf 178.49 Hf.upf
Ga 69.72 Ga.upf
Co 58.93 Co.upf
CELL_PARAMETERS angstrom
4.096 0.000 0.000
0.000 4.096 0.000
0.000 0.000 6.524
ATOMIC_POSITIONS angstrom
Hf 0.000 0.000 0.000
Ga 0.000 2.048 1.980
Ga 0.000 2.048 4.544
Ga 2.048 0.000 1.980
Ga 2.048 0.000 4.544
Ga 2.048 2.048 0.000
Co 0.000 0.000 3.262
! Energy, eV per cell: -118.08

6.
! Ho6GaCo2 meta-GGA r2SCAN optimized geometry; values from VASP
&SYSTEM
  ibrav = 0, nat = 18, ntyp = 3
/
ATOMIC_SPECIES
Ho 164.93 Ho.upf
Ga 69.72 Ga.upf
Co 58.93 Co.upf
CELL_PARAMETERS angstrom
-4.580 4.744 4.839
4.580 -4.744 4.839
4.580 4.744 -4.839
~~~

Join Online Forums and Discussion Groups

Platforms like Coursera, edX, and Udacity often have built-in forums where you can discuss course material with fellow learners. Participate actively by asking questions, sharing insights, and providing feedback.

Engage in Social Media Groups

Social media platforms like LinkedIn and Facebook have groups dedicated to specific courses or fields of study. Join these groups to connect with peers, share resources, and find study partners.

Utilize Collaboration Tools

**Inserted here: data records**
........
No. 1
{"formula": "Mg7Si4", "functional": "GGA-PBE", "state": "optimized geometry", "lattice": [[-3.1035, -0.3569, -2.8975], [-4.5932, -1.4317, 5.1363], [-0.7487, 15.2193, 1.6328]], "species": ["Mg", "Mg", "Mg", "Mg", "Mg", "Mg", "Mg", "Mg", "Mg", "Mg", "Mg", "Mg", "Mg", "Mg", "Si", "Si", "Si", "Si", "Si", "Si", "Si", "Si"], "fractional_positions": [[0.5910, 0.8839, 0.1190], [0.2302, 0.6462, 0.3915], [0.7957, 0.5819, 0.5358], [0.7132, 0.2892, 0.3334], [0.5895, 0.3374, 0.1339], [0.8930, 0.7545, 0.7331], [0.8423, 0.2755, 0.6730], [0.7587, 0.9593, 0.4473], [0.0542, 0.5965, 0.0376], [0.0366, 0.0777, 0.0117], [0.5076, 0.3434, 0.9307], [0.4945, 0.7666, 0.8978], [0.2812, 0.2798, 0.5020], [0.3345, 0.9036, 0.5974], [0.9680, 0.1618, 0.8413], [0.1218, 0.1090, 0.1967], [0.6645, 0.6315, 0.2656], [0.3387, 0.5365, 0.6470], [0.9818, 0.5133, 0.8589], [0.1389, 0.7654, 0.2184], [0.2191, 0.0457, 0.3508], [0.4414, 0.0377, 0.7736]], "energy_mp2020_ev_per_atom": -2.887, "de_polymorph_ev_per_atom": 0.054, "ef_ev_per_atom": 0.10}

=====

No. 2
{"formula": "Ce3Sn", "functional": "GGA-PBE", "state": "optimized geometry", "lattice": [[4.7922, 0.0000, 0.0000], [0.0000, 4.7922, 0.0000], [0.0000, 0.0000, 4.7922]], "species": ["Ce", "Ce", "Ce", "Sn"], "fractional_positions": [[0.5000, 0.5000, 0.0000], [0.5000, 0.0000, 0.5000], [0.0000, 0.5000, 0.5000], [0.0000, 0.0000, 0.0000]], "ef_ev_per_atom": -0.41}

=====

No. 3
{"formula": "Ca3V3N5", "functional": "GGA-PBE", "state": "optimized geometry", "lattice": [[-2.8121, -0.7424, 4.9233], [2.7803, -6.7283, -0.8325], [6.0725, 5.3113, 1.7364]], "species": ["Ca", "Ca", "Ca", "Ca", "Ca", "Ca", "V", "V", "V", "V", "V", "V", "N", "N", "N", "N", "N", "N", "N", "N", "N", "N"], "fractional_positions": [[0.7414, 0.4250, 0.5952], [0.2586, 0.5750, 0.4048], [0.6568, 0.8490, 0.8893], [0.3432, 0.1510, 0.1107], [0.6749, 0.6821, 0.2226], [0.3251, 0.3179, 0.7774], [0.9030, 0.3157, 0.9654], [0.0970, 0.6843, 0.0346], [0.7003, 0.9887, 0.5982], [0.2997, 0.0113, 0.4018], [0.0945, 0.8650, 0.6978], [0.9055, 0.1350, 0.3022], [0.0041, 0.0976, 0.8197], [0.9959, 0.9024, 0.1803], [0.7496, 0.7196, 0.5320], [0.2504, 0.2804, 0.4680], [0.7536, 0.5174, 0.9045], [0.2464, 0.4826, 0.0955], [0.3718, 0.9390, 0.6207], [0.6282, 0.0610, 0.3793], [0.2180, 0.7614, 0.8692], [0.7820, 0.2386, 0.1308]], "energy_mp2020_ev_per_atom": -7.974, "ef_ev_per_atom": -1.16}

=====

No. 4
{"formula": "Hf4Co", "functional": "GGA-PBE", "state": "optimized geometry", "lattice": [[-4.8067, -4.8067, 0.0000], [-4.8067, 0.0000, -4.8067], [0.0000, -4.8067, -4.8067]], "species": ["Hf", "Hf", "Hf", "Hf", "Hf", "Hf", "Hf", "Hf", "Co", "Co"], "fractional_positions": [[0.6107, 0.6107, 0.6107], [0.1680, 0.6107, 0.6107], [0.6107, 0.1680, 0.6107], [0.5820, 0.1393, 0.1393], [0.1393, 0.1393, 0.1393], [0.6107, 0.6107, 0.1680], [0.1393, 0.5820, 0.1393], [0.1393, 0.1393, 0.5820], [0.0000, 0.0000, 0.0000], [0.7500, 0.7500, 0.7500]], "ef_ev_per_atom": 0.51}

----------
........

Tools like Slack, Trello, and Google Workspace can help you collaborate on projects and stay organized. Create a study group and use these tools to schedule meetings, share documents, and track progress.

Attend Virtual Meetups and Webinars

# These calculated crystals were left in the entry by mistake
DFT (GGA-PBE) results for a relaxed LiAg2F6 crystal.

## Properties
Uncorrected energy: -64.3 eV for the cell shown
DFT formation energy: -1.761 eV/atom
Excess energy over the best structure of this formula in the dataset: 1.8 kJ per mole of atoms

Structure (POSCAR):
```
LiAg2F6
1.0
4.9199 0.0000 0.0000
0.0000 4.9199 0.0000
0.0000 0.0000 10.2324
Li Ag F
2 4 12
Cartesian
0.0000 2.4599 2.5355 Li
2.4599 0.0000 7.6968 Li
0.0000 2.4599 5.9861 Ag
0.0000 2.4599 9.3796 Ag
2.4599 0.0000 0.8527 Ag
2.4599 0.0000 4.2463 Ag
0.9633 3.4232 0.8128 F
0.9760 3.4360 4.2829 F
0.9900 3.4500 7.7037 F
1.4699 0.9900 2.5287 F
1.4839 0.9760 5.9495 F
1.4966 0.9633 9.4196 F
3.4232 3.9566 9.4196 F
3.4360 3.9439 5.9495 F
3.4500 3.9298 2.5287 F
3.9298 1.4699 7.7037 F
3.9439 1.4839 4.2829 F
3.9566 1.4966 0.8128 F
```

* * * * *

Entry 1:
{
  "formula": "Sr2MgVO4",
  "functional": "GGA+U",
  "state": "relaxed",
  "magnetic_moment_mub_per_cell": 3.000,
  "e_above_lowest_polymorph_ev_per_atom": 0.000,
  "energy_mp2020_ev_per_atom": -6.8836,
  "lattice": [[2.773, -2.746, 0.000], [2.773, 2.746, 0.000], [-0.325, 0.000, 7.757]],
  "species": ["Sr", "Sr", "Mg", "V", "O", "O", "O", "O"],
  "fractional_positions": [[0.000, 0.000, 0.000], [0.504, 0.504, 0.327], [0.492, 0.492, 0.753], [0.981, 0.981, 0.581], [0.046, 0.046, 0.308], [0.495, 0.988, 0.675], [0.512, 0.512, 0.014], [0.988, 0.495, 0.675]]
}


Entry 2:
{
  "formula": "MgVBiO4",
  "functional": "GGA+U",
  "state": "relaxed",
  "magnetic_moment_mub_per_cell": 2.000,
  "energy_mp2020_ev_per_atom": -6.9831,
  "lattice": [[5.335, 0.000, 0.000], [-2.412, 4.856, 0.000], [-1.503, -2.321, 4.855]],
  "species": ["Mg", "V", "Bi", "O", "O", "O", "O"],
  "fractional_positions": [[0.000, 0.000, 0.000], [0.503, 0.498, 0.996], [0.384, 0.879, 0.495], [0.196, 0.447, 0.136], [0.319, 0.062, 0.861], [0.552, 0.675, 0.740], [0.932, 0.807, 0.259]]
}


Entry 3:
{
  "formula": "Li9Mn2Co5O16",
  "functional": "GGA+U",
  "state": "relaxed",
  "magnetic_moment_mub_per_cell": 18.000,
  "e_above_lowest_polymorph_ev_per_atom": 0.069,
  "energy_mp2020_ev_per_atom": -6.4897,
  "lattice": [[2.982, 0.000, 0.000], [-0.411, 5.948, 0.000], [-0.254, -0.276, 16.146]],
  "species": ["Li", "Li", "Li", "Li", "Li", "Li", "Li", "Li", "Li", "Mn", "Mn", "Co", "Co", "Co", "Co", "Co", "O", "O", "O", "O", "O", "O", "O", "O", "O", "O", "O", "O", "O", "O", "O", "O"],
# Back to the entry

Look for virtual events related to your course or industry. Meetup.com and Eventbrite list a variety of online networking events and webinars where you can meet like-minded individuals.

Start a Peer Study Group

Organize a virtual study group with classmates. Regular meetings can help keep you accountable and provide a platform for discussing concepts and working through challenges together.

Participate in Peer Review Assignments

Many online courses include peer review components. Engage fully in these assignments to give and receive constructive feedback, which can be a powerful learning tool.

Next Steps and Advanced Considerations

After establishing a network, consider exploring advanced topics like mentorship opportunities within your network, joining professional associations related to your field, and attending industry conferences. These steps can further enhance your career prospects and deepen your understanding of the subject matter.

In conclusion, fostering peer interaction in online skill courses is essential for a comprehensive learning experience. By taking the actions outlined above, you can build a supportive network that will help you thrive in your online educational endeavors. Remember, the strength of your learning experience is not just in the content, but also in the connections you make along the way.